Now copy the lines below from the one with "-1.52294 -1.43021" to the one with "-0.78498 0.68451" word for word.

-- begin --
Record 1
C4H2F2O | ωB97M-V with the def2-TZVPD basis set

```
9
Properties=species:S:1:pos:R:3:forces:R:3
C -1.91816 0.66086 -1.93896 -0.22 0.57 -1.38
C -1.30063 0.08880 -0.97121 -0.70 0.33 -0.54
C -1.24014 -0.88050 0.07133 2.99 -2.12 1.86
C -0.68074 0.23613 0.35532 -1.96 0.80 0.95
O 2.00599 0.03136 0.09941 -6.82 -1.33 -1.73
F -1.07540 -2.11780 0.47801 -1.26 -0.30 -0.87
F -0.60110 1.12334 1.29558 1.02 0.65 -0.04
H 2.84663 -0.04173 0.23965 8.25 -2.05 0.94
H 1.96354 0.89955 0.37086 -1.29 3.46 0.81
```
Positions in Å, forces in eV/Å.

Kohn-Sham gap = 0.3009 Ha
max |F| = 0.16626 Eh/bohr
electronic energy = -11653.5937 eV
2S+1 = 1

***

Record 2
C4H2F7N | ωB97M-V with the def2-TZVPD basis set

```
14
Properties=species:S:1:pos:R:3:forces:R:3
C -0.20264 1.93346 0.59255 -0.46 1.52 1.30
C 0.39705 0.88452 0.07585 -2.64 -2.83 -1.18
C -1.09734 -0.66121 -0.56751 0.92 3.40 2.94
C 1.80713 0.39021 -0.16238 -1.73 -1.16 0.76
N -0.76825 -1.94674 0.08103 0.68 -1.67 -1.35
F -1.05581 -0.87661 -1.84414 0.02 -0.05 -0.27
F -2.23879 0.07509 -0.24827 1.09 -1.78 -0.34
F 1.96916 -0.37302 -1.26253 -0.17 1.03 0.05
F 2.56956 1.44945 -0.16971 1.48 0.60 -0.35
F 2.16060 -0.43463 0.84996 0.17 0.45 0.09
F -1.47988 -3.03125 -0.52166 0.09 1.28 -0.03
F -0.99473 -2.23071 1.38568 -0.45 1.63 0.10
H 0.26495 2.92377 1.06017 -0.58 -2.44 -1.33
H -1.33101 1.89767 0.73095 1.58 0.01 -0.39
```
Positions in Å, forces in eV/Å.

Kohn-Sham gap = 0.3761 Ha
max |F| = 0.08926 Eh/bohr
electronic energy = -24685.3093 eV
2S+1 = 1

***

Record 3
C4H2FMgO4Rb | ωB97M-V with the def2-TZVPD basis set

```
13
Properties=species:S:1:pos:R:3:forces:R:3
O -0.20749 -3.13450 -1.40753 0.36 1.90 2.15
C -0.48062 -3.93085 -2.20455 -1.01 -3.36 -2.85
O -0.74922 -4.75495 -2.97369 0.56 1.79 1.44
O -0.65520 2.38028 0.44604 -0.15 -0.23 -0.36
C -0.31563 2.10266 1.66142 0.23 0.95 0.58
C -0.58952 1.19306 -0.40296 -0.18 -0.20 -0.40
O 0.10515 0.85484 1.74287 -0.07 -1.23 -0.07
C 0.20740 0.21924 0.43239 0.52 0.71 0.19
Rb 3.08841 4.24025 4.05699 -0.07 0.06 0.01
H -0.09618 1.45737 -1.34316 -0.10 -0.09 0.23
H -1.62091 0.87072 -0.58104 0.17 0.11 -0.02
F 1.57213 0.38020 0.10970 -0.57 -0.50 -0.04
Mg -0.25832 -1.87831 0.46351 0.30 0.08 -0.85
```
Positions in Å, forces in eV/Å.

Kohn-Sham gap = 0.2453 Ha
max |F| = 0.08793 Eh/bohr
electronic energy = -21171.4100 eV
2S+1 = 1
total charge = +2

***

Record 4
C4H2FeO2 | ωB97M-V with the def2-TZVPD basis set

```
9
Properties=species:S:1:pos:R:3:forces:R:3
O -1.52294 -1.43021 -1.48783 0.99 2.07 1.24
C -1.17750 -0.45548 -0.92598 -0.85 -1.81 -1.46
C -0.78498 0.68451 -0.35318 1.07 -1.08 1.21
C -1.69083 1.73832 -0.04978 -0.31 1.15 -0.71
H -1.51612 2.39690 0.80174 -0.17 -0.15 -0.36
H -2.30838 2.08908 -0.89428 0.04 -0.11 0.85
O 2.25978 -0.89239 0.00602 0.14 0.02 0.18
C 2.92816 -1.70396 -0.42083 0.30 -0.37 -0.23
Fe 0.90560 0.50916 0.72030 -1.22 0.28 -0.71
```
Positions in Å, forces in eV/Å.

Kohn-Sham gap (alpha / beta) = 0.1908 / 0.2700 Ha
⟨S²⟩ = 8.7763
max |F| = 0.05069 Eh/bohr
electronic energy = -42649.7748 eV
2S+1 = 6
total charge = +1


No. 1
{
  "formula": "C3H5ClSi",
  "method": "ωB97M-V/def2-TZVPD",
  "species": ["C", "C", "C", "Si", "Cl", "H", "H", "H", "H", "H"],
  "coordinates": [[0.35815, -0.84034, 0.50289], [-0.02294, 0.05203, -0.19973], [1.11209, -1.69560, 1.41233], [-1.27906, 1.77807, -1.62168], [-2.93859, 2.39916, -0.68858], [1.14476, -1.42446, 2.45723], [0.92700, -2.68954, 1.40657], [2.18665, -1.67420, 0.96716], [-1.14064, 1.15615, -2.87815], [-0.34742, 2.93874, -1.35805]],
  "atomic_forces_ev_per_a": [[0.45, -0.63, 1.27], [-2.79, 3.17, -2.88], [3.09, 2.24, -1.30], [3.65, -0.85, 3.84], [-0.66, -0.39, -0.20], [-0.07, 0.65, 0.13], [-1.30, -3.18, -0.36], [-1.41, 0.14, 1.13], [-0.57, -0.47, -1.11], [-0.39, -0.69, -0.52]],
  "relative_energy_ev": 2.356,
  "orbital_gap_ev": 9.11,
  "e_lumo_ev": 0.1,
  "molar_mass_g_mol": 104.6
}



No. 2
{
  "formula": "C21H35BF2N2O5Si",
  "method": "ωB97M-V/def2-TZVPD",
-- stop --

O -1.52294 -1.43021 -1.48783 0.99 2.07 1.24
C -1.17750 -0.45548 -0.92598 -0.85 -1.81 -1.46
C -0.78498 0.68451 -0.35318 1.07 -1.08 1.21